Activity.
The reader should copy only the lines further down with the word "is" in them.

Input.
........
1.
Here is C39H55N5O5PTi as an isolated structure from the Open Molecules 2025 dataset. Energies are from ωB97M-V/def2-TZVPD.

XYZ file:
```
106
Properties=species:S:1:pos:R:3
Ti -0.1194 0.8828 0.2197
C 2.4628 -0.6751 -3.0287
C 2.8952 -0.1133 -1.6843
C 3.3669 -1.2545 -0.7594
C 2.4206 -2.3803 -0.2424
C 2.3315 -3.5983 -1.1576
C 2.9370 -2.8263 1.1227
N 0.9828 -1.8147 -0.1519
C 0.1561 -2.2020 1.0432
C -1.8848 -0.3797 1.9844
N -1.8102 1.0105 1.3655
C -2.8835 1.1684 0.3239
C -2.4144 0.4816 -0.9452
O -2.8925 0.5361 -2.0179
O -1.2066 -0.1779 -0.6606
C -1.9032 2.0817 2.4422
C -2.1758 3.4798 1.8783
C -0.7114 2.0248 3.4090
C 0.7413 2.2215 2.9357
C 1.0264 3.5830 2.3113
C 1.6279 2.0260 4.1683
N 1.0706 1.0770 1.9386
C 2.4912 1.0611 1.4415
C 2.6764 1.6530 0.0460
N 1.9323 0.9157 -1.0323
C 1.5489 1.8959 -2.0988
C 0.5991 2.9561 -1.5848
O 0.4992 4.0709 -1.9284
O -0.2032 2.4086 -0.5603
H 3.3330 -1.1876 -3.4404
H 2.1817 0.0754 -3.7609
H 1.6592 -1.3952 -2.9552
H 3.7957 0.4816 -1.8673
H 3.9012 -0.8313 0.0917
H 4.1418 -1.7634 -1.3348
H 3.3226 -4.0352 -1.2751
H 1.9479 -3.3554 -2.1478
H 1.6833 -4.3595 -0.7157
H 3.9583 -3.1808 0.9803
H 2.3695 -3.6562 1.5390
H 2.9794 -2.0217 1.8599
H 1.1115 -0.7969 -0.2129
H 0.4523 -2.0288 -1.0430
H 0.5759 -1.6591 1.8890
H 0.3352 -3.2598 1.2140
H -1.1013 -0.4528 2.7358
H -2.8310 -0.4291 2.5109
H -3.0471 2.2118 0.0675
H -3.8326 0.7389 0.6502
H -2.7738 1.7960 3.0394
H -1.6087 3.7115 0.9794
H -1.9179 4.2219 2.6317
H -3.2333 3.6200 1.6607
H -0.7519 1.0965 3.9853
H -0.8978 2.8099 4.1427
H 0.6415 4.3576 2.9735
H 0.5614 3.7290 1.3389
H 2.0996 3.7587 2.2216
H 1.3037 2.7141 4.9487
H 2.6772 2.2477 3.9800
H 1.5442 1.0139 4.5740
H 0.9732 0.2556 2.5363
H 2.8287 0.0288 1.4629
H 3.1351 1.6138 2.1231
H 3.7498 1.6588 -0.1590
H 2.3602 2.6964 0.0515
H 1.0104 1.3718 -2.8889
H 2.4249 2.3830 -2.5314
O -0.8573 -1.4531 -3.8438
N -0.7853 -2.2633 -2.7356
C -1.6551 -3.1676 -2.6250
C -1.6203 -4.1377 -1.5068
C -1.5691 -5.4425 -2.0080
C -1.4188 -6.5429 -1.1927
C -1.3116 -6.3311 0.1638
C -1.4113 -5.0485 0.6820
C -1.6067 -3.8935 -0.0997
P -1.8642 -2.2708 1.0505
C -2.0394 -3.0237 2.7123
C -1.0920 -2.8653 3.7256
C -1.2706 -3.4583 4.9685
C -2.3984 -4.2237 5.2194
C -3.3431 -4.3997 4.2172
C -3.1651 -3.8094 2.9777
C -3.6500 -1.9787 0.5412
C -4.5990 -1.5680 1.4963
C -5.9183 -1.3458 1.1468
C -6.3372 -1.5072 -0.1699
C -5.4253 -1.9247 -1.1194
C -4.1031 -2.1650 -0.7590
H -1.6686 -1.6532 -4.3416
H -2.3861 -3.3272 -3.4218
H -1.6267 -5.5834 -3.0814
H -1.3782 -7.5391 -1.6108
H -1.1730 -7.1632 0.8417
H -1.3368 -4.9734 1.7494
H -0.1867 -2.2897 3.5838
H -0.5220 -3.3254 5.7380
H -2.5369 -4.6880 6.1865
H -4.2208 -5.0062 4.3962
H -3.8973 -3.9925 2.2025
H -4.3437 -1.4822 2.5435
H -6.6296 -1.0583 1.9102
H -7.3681 -1.3240 -0.4412
H -5.7368 -2.0765 -2.1443
H -3.4316 -2.4927 -1.5251
```

Computed properties:
net charge	+3

---

2.
Here is a 2-piece molecular cluster, C14H29F6N4P overall from the Open Molecules 2025 dataset. Energies are from ωB97M-V/def2-TZVPD.

XYZ file:
```
54
C14H29F6N4P | the Open Molecules 2025 dataset | ωB97M-V/def2-TZVPD
C 3.5119 -1.7868 1.5903
C 3.6987 -0.7658 0.4578
C 4.1656 0.6360 0.9040
C 3.0922 1.6413 0.5059
C 1.8441 1.5723 1.3691
C 0.9221 2.7950 1.3502
C -0.2469 2.5254 0.4045
C -1.4409 1.7976 1.0154
C -2.7662 2.0932 0.3060
C -2.8353 1.7463 -1.1909
C -3.2746 0.3209 -1.5544
C -2.1557 -0.7340 -1.4005
N -2.6271 -2.0537 -0.9692
C -2.9640 -2.2982 0.2821
N -3.4076 -3.4898 0.7473
C -3.5878 -3.2768 2.0414
N -3.2932 -2.0340 2.3995
N -2.8857 -1.3787 1.2674
H 4.1328 -1.5407 2.4599
H 3.7849 -2.7954 1.2719
H 2.4714 -1.8303 1.9362
H 2.7694 -0.6637 -0.1029
H 4.4103 -1.1735 -0.2602
H 4.3256 0.6279 1.9929
H 5.1061 0.9422 0.4396
H 2.7844 1.3501 -0.5081
H 3.4756 2.6668 0.4307
H 2.1047 1.2961 2.3988
H 1.2548 0.7333 0.9655
H 0.5774 3.0114 2.3685
H 1.4454 3.6906 0.9981
H 0.1532 1.8756 -0.3874
H -0.5881 3.4393 -0.0934
H -1.5313 2.0263 2.0864
H -1.1937 0.7243 0.9592
H -3.6076 1.6206 0.8369
H -2.9531 3.1692 0.3988
H -1.8658 1.9307 -1.6681
H -3.5440 2.4460 -1.6422
........

Solution.
Here is C39H55N5O5PTi as an isolated structure from the Open Molecules 2025 dataset. Energies are from ωB97M-V/def2-TZVPD.
Here is a 2-piece molecular cluster, C14H29F6N4P overall from the Open Molecules 2025 dataset. Energies are from ωB97M-V/def2-TZVPD.